Safe and Responsible AI


Minister Husic and the Department of Industry, Science and Resources launched a “safe and responsible AI” consultation to seek views on how the Australian Government can mitigate potential risks of AI. The consultation was supported by a paper from Australia’s Chief Scientist about the risks and opportunities of generative AI.

GAP thinks that how governments around the world handle rapidly progressing AI is pivotal to safeguarding a flourishing future for all. Reading the Government’s papers, we were concerned that Government may be disregarding the potential for existential and catastrophic risks in pursuit of economic benefit.

Our submission

GAP made a submission calling for Government to:

  1. Acknowledge potential catastrophic and existential risks from artificial intelligence
  2. Broaden its risk-managment efforts to cover pressing risks that are causing harm today (e.g., misinformation, algorithmic bias), the intensification of those risks (e.g., personalised scams and deepfakes) and novel sources of risk (e.g., the misuse of dangerous emergent capabilities or “rogue AIs”)
  3. Lead and participate in international efforts and agreements focused on identifying and mitigating the full range of AI risks
  4. Build AI safety capability in Australia, including by funding AI safety research, establishing an Australian AI lab to assess and build safe AI models in Australia, and improving AI expertise in Government, and
  5. Ensure Australians have access to justice by creating a legal system that appropriately holds people accountable for harms caused by AIs.

(Misplaced materials data)
+++
1.
Entry from Materials Project: a relaxed structure of Y2ZnSnO6 (r²SCAN).

Output
Total magnetic moment: 0.00 μB per cell
SG: Fm-3m (225)
VASP energy: -133.76 eV for the cell shown
Formation enthalpy at 0 K: -2.364 eV per atom

Structure (POSCAR):
```
Y2ZnSnO6
1.0
0.000 3.945 3.945
3.945 0.000 3.945
3.945 3.945 0.000
Y Zn Sn O
2 1 1 6
Direct
0.250 0.250 0.250
0.750 0.750 0.750
0.000 0.000 0.000
0.500 0.500 0.500
0.751 0.249 0.249
0.249 0.751 0.751
0.249 0.751 0.249
0.751 0.249 0.751
0.249 0.249 0.751
0.751 0.751 0.249
```

***

2.
Entry from Materials Project: a relaxed structure of NdGe2Ir2 (r²SCAN).

Output
Total magnetic moment: 0.00 μB per cell
SG: P4/nmm (129)
VASP energy: -332.54 eV for the cell shown
Formation enthalpy at 0 K: -0.878 eV per atom

Structure (POSCAR):
```
NdGe2Ir2
1.0
-1.300 -1.803 -3.642
-1.964 -3.069 2.220
-8.383 5.545 0.248
Nd Ge Ir
2 4 4
Direct
0.000 0.500 0.256
0.500 0.000 0.744
0.000 0.000 0.500
0.500 0.500 0.500
0.000 0.500 0.869
0.500 0.000 0.131
0.000 0.000 0.000
0.500 0.500 0.000
0.000 0.500 0.627
0.500 0.000 0.373
```

***

3.
Entry from Materials Project: a relaxed structure of DyTmMg2 (r²SCAN).

Output
Total magnetic moment: 0.00 μB per cell
SG: Fm-3m (225)
VASP energy: -75.77 eV for the cell shown
Formation enthalpy at 0 K: -0.083 eV per atom

Structure (POSCAR):
```
DyTmMg2
1.0
0.000 3.766 3.766
3.766 0.000 3.766
3.766 3.766 0.000
Dy Tm Mg
1 1 2
Direct
0.250 0.250 0.250
0.750 0.750 0.750
0.500 0.500 0.500
0.000 0.000 0.000
```

***

4.
Entry from Materials Project: a relaxed structure of TiCl4 (r²SCAN).

Output
Total magnetic moment: 0.00 μB per cell
SG: P2_1/c (14)
VASP energy: -184.70 eV for the cell shown
Formation enthalpy at 0 K: -1.725 eV per atom

Structure (POSCAR):
```
TiCl4
1.0
6.606 0.000 0.000
0.000 9.659 -2.071
0.000 0.005 9.868
Ti Cl
4 16
Direct
0.576 0.748 0.368
0.076 0.252 0.132
0.424 0.252 0.632
0.924 0.748 0.868
0.575 0.571 0.195
0.075 0.429 0.305
0.425 0.429 0.805
0.925 0.571 0.695
0.613 0.808 0.925
0.113 0.192 0.575
0.387 0.192 0.075
0.887 0.808 0.425
0.080 0.920 0.807
0.580 0.080 0.693
0.920 0.080 0.193
0.420 0.920 0.307
0.078 0.693 0.044
0.578 0.307 0.456
0.922 0.307 0.956
0.422 0.693 0.544
```

***

5.
Entry from Materials Project: a relaxed structure of EuNbO4 (r²SCAN).

Output
Total magnetic moment: 12.00 μB per cell
SG: C2/c (15)
VASP energy: -210.63 eV for the cell shown
Formation enthalpy at 0 K: -3.028 eV per atom

Structure (POSCAR):
```
EuNbO4
1.0
5.564 3.596 0.007
-5.564 3.596 0.007
0.000 3.402 3.888
Eu Nb O
2 2 8
Direct
0.129 0.871 0.750
0.871 0.129 0.250
0.606 0.394 0.750
0.394 0.606 0.250
0.130 0.553 0.165
0.447 0.870 0.335
0.870 0.447 0.835
0.553 0.130 0.665
0.711 0.772 0.800
0.228 0.289 0.700
0.289 0.228 0.200
0.772 0.711 0.300
```

***

6.
Entry from Materials Project: a relaxed structure of ZrCoGe (r²SCAN).

Output
Total magnetic moment: 4.00 μB per cell
SG: Pnma (62)
VASP energy: -207.78 eV for the cell shown
Formation enthalpy at 0 K: -0.696 eV per atom
+++
(Here the entry continues)

Supporting the community

GAP understands that broad alliances are required to tackle the world’s most pressing problems. With that in mind, GAP volunteered its support and expertise to Australians for AI Safety. Australians for AI Safety wrote an open letter to Minister Husic explaining that the economic potential of advanced AI systems will only be realised if we make them ethical. The letter also set out a range of practical actions the Australian government could take to further AI safety. GAP’s CEO, Greg Sadler, acted as a spokesperson for Australians for AI Safety and worked with signatories to get the message to the public. You can read and listen to relevant stories here:

Finally, GAP believes in the importance of democracy and empowering the public to engage in the policy conversations that matter most. GAP helped empower Australian community members who care about risks from AI to develop their own submissions to the process, through workshops across Australia and online. The workshops helped community members understand the process, provided them with high-quality evidence based on the best international research, and helped them craft submission that best articulated their personal beliefs.